
Bo Zhen's research in "Fixing leaky optical pipes with topological glue"

Combining theoretical insights with experimental results, physicists demonstrate a new design for optoelectronic devices that could help make optical fiber communications more energy efficient.

# Next to the page, the page also holds calculated crystals
-- begin --
[1]
Mo2SeS3 after structural relaxation. Source: the Materials Project, functional PBE-GGA.

a = 3.222 Å, b = 3.222 Å, c = 14.163 Å
α = 90.00°, β = 90.00°, γ = 120.00°
Atoms (fractional coordinates):
Mo (0.000, 0.000, 0.748)
Mo (0.667, 0.333, 0.256)
Se (0.000, 0.000, 0.134)
S (0.667, 0.333, 0.858)
S (0.667, 0.333, 0.639)
S (0.000, 0.000, 0.365)

Properties
- Offset from the most stable computed form: 0.000 eV per atom
- Formation energy: -1.06 eV/atom
- Calculated volume: 21.2 Å³/atom
- Final energy: -7.077 eV per atom
- SG: P3m1, No. 156

[2]
MoSeS after structural relaxation. Source: the Materials Project, functional PBE-GGA.

a = 3.258 Å, b = 3.258 Å, c = 14.263 Å
α = 90.00°, β = 90.00°, γ = 120.00°
Atoms (fractional coordinates):
Mo (0.000, 0.000, 0.258)
Mo (0.000, 0.000, 0.742)
Se (0.667, 0.333, 0.862)
Se (0.333, 0.667, 0.138)
S (0.333, 0.667, 0.365)
S (0.667, 0.333, 0.635)

Properties
- Offset from the most stable computed form: 0.000 eV per atom
- Formation energy: -0.93 eV/atom
- Calculated volume: 21.9 Å³/atom
- Final energy: -6.918 eV per atom
- SG: P-3m1, No. 164

[3]
MoSeS after structural relaxation. Source: the Materials Project, functional PBE-GGA.

a = 3.256 Å, b = 3.256 Å, c = 19.491 Å
α = 90.00°, β = 90.00°, γ = 120.01°
Atoms (fractional coordinates):
Mo (0.444, 0.556, 0.000)
Mo (0.667, 0.333, 0.500)
Se (0.334, 0.666, 0.587)
Se (0.334, 0.666, 0.413)
S (0.777, 0.223, 0.079)
S (0.777, 0.223, 0.921)

Properties
- Offset from the most stable computed form: 0.003 eV per atom
- Formation energy: -0.92 eV/atom
- Calculated volume: 29.8 Å³/atom
- Final energy: -6.915 eV per atom
- SG: Amm2, No. 38

[4]
Mo3Se2S4 after structural relaxation. Source: the Materials Project, functional PBE-GGA.

a = 3.233 Å, b = 3.233 Å, c = 29.637 Å
α = 90.00°, β = 90.00°, γ = 120.00°
Atoms (fractional coordinates):
Mo (0.333, 0.667, 0.116)
Mo (0.333, 0.667, 0.578)
Mo (0.667, 0.333, 0.347)
Se (0.667, 0.333, 0.521)
Se (0.667, 0.333, 0.636)
S (0.333, 0.667, 0.399)
S (0.667, 0.333, 0.063)
S (0.667, 0.333, 0.168)
S (0.333, 0.667, 0.295)

Properties
- Formation energy: -1.01 eV/atom
- Calculated volume: 29.8 Å³/atom
- Final energy: -7.020 eV per atom
- SG: P3m1, No. 156

[5]
Mo2Se3S after structural relaxation. Source: the Materials Project, functional PBE-GGA.

a = 3.288 Å, b = 3.288 Å, c = 37.309 Å
α = 90.00°, β = 90.00°, γ = 120.00°
Atoms (fractional coordinates):
Mo (0.333, 0.667, 0.094)
Mo (0.333, 0.667, 0.470)
Mo (0.667, 0.333, 0.282)
Mo (0.667, 0.333, 0.658)
Se (0.333, 0.667, 0.703)
Se (0.667, 0.333, 0.049)
Se (0.667, 0.333, 0.424)
Se (0.667, 0.333, 0.139)
Se (0.667, 0.333, 0.515)
Se (0.333, 0.667, 0.612)
S (0.333, 0.667, 0.323)
S (0.333, 0.667, 0.241)

Properties
- Formation energy: -0.79 eV/atom
- Calculated volume: 29.1 Å³/atom
- Final energy: -6.763 eV per atom
- SG: P3m1, No. 156

[6]
Mo2SeS3 after structural relaxation. Source: the Materials Project, functional PBE-GGA.

a = 3.224 Å, b = 3.224 Å, c = 37.888 Å
α = 90.00°, β = 90.00°, γ = 120.00°
-- stop --

Congratulations to our May degree PhD candidates who successfully defended their dissertation! (see list)

Ashley Baker, Anthony Chieco, Rachael Creager, Paul Masih Das, Tatyana Gavrilchenko, Christopher Lynn, Charlotte Pfeifer, and Tae-Hyeon Shin


Vijay Balasubramanian examines the optimal immune repertoire for bacteria

Researchers develop a physical model that describes the optimal amount of ‘memory’ of prior infections that bacteria should have in order to efficiently mount a successful immune response.

Student award winners: Thomas H. Wood Prize – Awarded to Ethan Abraham and Sarah Kane

Thomas H. Wood Prize – Awarded to Ethan Abraham and Sarah Kane

 Awarded annually to the undergraduate student in introductory physics who has demonstrated, during the course of their undergrad coursework, the greatest proficiency in assimilating the concepts of physics, based on overall performance in all aspects of the undergrad program as judged by members of the physics faculty.

Student award winners: William E. Stephens Prize – Awarded to Brooke Digia and Abigail Poteshman

William E. Stephens Prize – Awarded to Brooke Digia and Abigail Poteshman

Student award winners: Arnold M. Denenstein Prize – Awarded to David Rivera and Ningfeng Zhu

• What comes next are calculated crystals, not part of the text:
********
Computed, not measured: a relaxed structure of CoP3H16N4O11 at the GGA+U level of DFT.

Geometry as CIF:
```
data_CoP3H16N4O11
_chemical_formula_sum 'Co2 P6 H32 N8 O22'
_cell_length_a 7.9543
_cell_length_b 10.7488
_cell_length_c 9.1374
_cell_angle_alpha 90.00
_cell_angle_beta 99.50
_cell_angle_gamma 90.00
_symmetry_space_group_name_H-M 'P 1 21 1'
_symmetry_Int_Tables_number 4
loop_
_symmetry_equiv_pos_as_xyz
'x,y,z'
'-x,y+1/2,-z'
loop_
_atom_site_label
_atom_site_type_symbol
_atom_site_fract_x
_atom_site_fract_y
_atom_site_fract_z
_atom_site_occupancy
Co1 Co 0.2056 0.0000 0.1154 1
P1 P 0.0986 0.6395 0.7393 1
P2 P 0.1971 0.4426 0.9669 1
P3 P 0.3328 0.4898 0.2814 1
H1 H 0.0802 0.7988 0.4049 1
H2 H 0.0966 0.1028 0.8758 1
H3 H 0.1474 0.0245 0.5541 1
H4 H 0.1924 0.5781 0.5280 1
H5 H 0.2045 0.0087 0.6257 1
H6 H 0.2342 0.2657 0.6181 1
H7 H 0.2371 0.8156 0.9453 1
H8 H 0.2533 0.7606 0.1162 1
H9 H 0.2770 0.1748 0.9433 1
H10 H 0.3374 0.3246 0.4348 1
H11 H 0.3792 0.1779 0.2525 1
H12 H 0.3997 0.1912 0.6076 1
H13 H 0.4245 0.8214 0.0577 1
H14 H 0.4450 0.9705 0.8359 1
H15 H 0.4551 0.6001 0.8202 1
H16 H 0.4833 0.9260 0.2805 1
N1 N 0.2116 0.0926 0.9437 1
N2 N 0.2951 0.8296 0.0544 1
N3 N 0.3938 0.9935 0.2929 1
N4 N 0.4357 0.0961 0.2273 1
O1 O 0.0201 0.3948 0.9136 1
O2 O 0.0810 0.1235 0.2294 1
O3 O 0.1166 0.5541 0.6017 1
O4 O 0.1756 0.7658 0.7378 1
O5 O 0.1939 0.5016 0.1340 1
O6 O 0.2314 0.5666 0.8774 1
O7 O 0.3010 0.5822 0.3945 1
O8 O 0.3333 0.3489 0.3249 1
O9 O 0.3485 0.2742 0.5933 1
O10 O 0.3488 0.3590 0.9750 1
O11 O 0.4894 0.0246 0.7649 1
```

---

Computed, not measured: a relaxed structure of K3FePCO7 at the GGA+U level of DFT.

Geometry as CIF:
```
data_K3FePCO7
_chemical_formula_sum 'K12 Fe4 P4 C4 O28'
_cell_length_a 5.6755
_cell_length_b 9.6630
_cell_length_c 14.0012
_cell_angle_alpha 89.97
_cell_angle_beta 90.00
_cell_angle_gamma 89.83
_symmetry_space_group_name_H-M 'P -1'
_symmetry_Int_Tables_number 2
loop_
_symmetry_equiv_pos_as_xyz
'x,y,z'
'-x,-y,-z'
loop_
_atom_site_label
_atom_site_type_symbol
_atom_site_fract_x
_atom_site_fract_y
_atom_site_fract_z
_atom_site_occupancy
K1 K 0.2429 0.4277 0.3733 1
K2 K 0.2437 0.4272 0.8766 1
K3 K 0.2546 0.7831 0.7470 1
K4 K 0.2553 0.7839 0.0045 1
K5 K 0.2548 0.7838 0.5052 1
K6 K 0.2548 0.7846 0.2433 1
Fe1 Fe 0.2378 0.1472 0.1237 1
Fe2 Fe 0.2410 0.1449 0.6263 1
P1 P 0.2704 0.0788 0.3730 1
P2 P 0.2706 0.0816 0.8770 1
C1 C 0.2565 0.4205 0.1254 1
********

Arnold M. Denenstein Prize – Awarded to David Rivera and Ningfeng Zhu

Provided from an endowment established by the family, friends, and colleagues of Arnold M. Denenstein to honor his memory and his contributions to science. Awarded annually to a graduate student, judged by the Physics and Astronomy Department, who shows the most promise of becoming and outstanding experimental physicist.

Graduate student Amanda Bacon awarded a 2020 NSF Graduate Research Fellowship

Amanda is a first-year graduate student who came to Penn from Bennington College. As an undegraduate she worked on the MiniCLEAN dark matter experiment at SNOLAB and in solar astrophysics at Harvard. She is now working with the neutrino group.

Physics majors Srinivas Mandyam and Adithya Sriram awarded 2020 NSF Graduate Research Fellowships

Congratulations to Physics majors Srinivas Mandyam and Adithya Sriram for being awarded the 2020 NSF Graduate Research Fellowship!  Srinivas is a Vagelos MLS Scholar who will graduate with a bachelor’s degree in Physics, Mathematics, and Biophysics, along with a master’s degree in Physics.  He is also the recipient of the Churchill Scholarship and Goldwater Scholarship.  Adithya is a VIPER Scholar who will graduate with a bachelor’s degree in Physics, Biophysics, and Chemical and Biomolecular Engineering, and also with a master’s in P